File =
┌──
1.
Below is an optimized crystal structure of Ba5SrLa2Fe4O15, with properties calculated at the PBE+U level.

## Properties
**Space-group type**: No. 9
**Formation energy**: -2.728 eV per atom

Cell and atoms, written as extended XYZ:
```
54
Lattice="5.9837 -10.3484 0.0000 5.9837 10.3484 0.0000 -0.0191 0.0000 7.1636" Properties=species:S:1:pos:R:3 pbc="T T T"
Ba 5.9837 10.3482 0.0000
Ba 5.9742 -10.3481 3.5818
Ba 3.0849 1.8237 4.7450
Ba 5.9761 6.7401 4.7596
Ba 5.9796 3.4814 7.0163
Ba 3.0945 -1.8237 1.1632
Ba 8.8445 1.8387 4.7681
Ba 5.9891 -3.4814 3.4344
Ba 5.9856 -6.7401 1.1778
Ba 8.8541 -1.8387 1.1863
Sr 3.3713 4.9488 2.3920
Sr 3.3617 -4.9488 5.9738
La 5.9734 0.4390 2.4114
La 8.5937 4.9604 2.3907
La 5.9639 -0.4390 5.9932
La 8.5841 -4.9604 5.9725
Fe 5.9626 6.6428 1.1784
Fe 3.2096 1.8607 1.1620
Fe 5.9511 3.4615 3.7588
Fe 3.2001 -1.8607 4.7438
Fe 8.7576 1.8366 1.1756
Fe 5.9606 -3.4615 0.1770
Fe 5.9531 -6.6428 4.7602
Fe 8.7481 -1.8366 4.7575
O 4.3949 6.2814 0.1553
O 2.7401 3.3965 0.1526
O 5.9625 8.3616 1.9041
O 1.7316 0.9978 1.8977
O 4.4971 4.2827 4.8422
O 1.7220 -0.9978 5.4795
O 6.0216 5.1792 2.4531
O 4.4936 2.5184 2.4519
O 7.5612 6.2766 0.2562
O 4.3540 0.6612 0.2138
O 2.7306 -3.3965 3.7344
O 4.3444 -0.6612 3.7957
O 7.4215 4.2739 4.7627
O 5.9652 1.7159 4.7913
O 4.4841 -2.5184 6.0337
O 7.4864 2.5497 2.4539
O 5.9748 -1.7159 1.2094
O 4.5066 -4.2827 1.2604
O 7.6026 0.6521 0.2170
O 9.2186 3.4028 0.2541
O 7.5930 -0.6521 3.7988
O 4.3853 -6.2814 3.7371
O 7.4769 -2.5497 6.0357
O 6.0120 -5.1792 6.0349
O 10.2364 0.9732 1.9049
O 7.4311 -4.2739 1.1808
O 5.9529 -8.3616 5.4859
O 10.2268 -0.9732 5.4867
O 7.5516 -6.2766 3.8380
O 9.2090 -3.4028 3.8359
```

---

2.
Below is an optimized crystal structure of BaLaTiFeO6, with properties calculated at the PBE+U level.

## Properties
**Formation energy**: -3.113 eV per atom

Cell and atoms, written as extended XYZ:
```
20
Lattice="3.9971 0.0000 3.9971 0.0000 3.9971 3.9971 -3.9971 -3.9971 7.9942" Properties=species:S:1:pos:R:3 pbc="T T T"
Ba 1.9985 1.9985 9.9927
Ba -1.9985 -1.9985 9.9927
O -1.9719 0.0000 11.9913
O 0.0000 -2.0252 7.9942
O 2.0252 0.0000 7.9942
O 0.0000 2.0252 7.9942
O 0.0000 0.0000 2.0252
O 0.0000 1.9719 3.9971
O 1.9719 0.0000 3.9971
O -2.0252 0.0000 7.9942
O 0.0000 -1.9719 11.9913
O 0.0000 0.0000 13.9632
O 0.0000 0.0000 10.0194
O 0.0000 0.0000 5.9690
Ti 0.0000 0.0000 3.9971
Ti 0.0000 0.0000 11.9913
Fe 0.0000 0.0000 0.0000
Fe 0.0000 0.0000 7.9942
La 1.9985 1.9985 5.9956
La -1.9985 -1.9985 5.9956
```

---

3.
Below is an optimized crystal structure of BaLuFe4O7, with properties calculated at the PBE+U level.

## Properties
**Space-group type**: No. 82
**ΔE to the lowest computed polymorph**: 0.000 eV per atom
**Formation energy**: -2.199 eV per atom

Cell and atoms, written as extended XYZ:
```
13
Lattice="-3.2075 3.2075 4.5086 3.2075 -3.2075 4.5086 3.2075 3.2075 -4.5086" Properties=species:S:1:pos:R:3 pbc="T T T"
Ba 0.0000 0.0000 0.0000
Lu 0.0000 3.2075 2.2543
Fe 1.6687 -0.1598 3.3300
Fe 3.0477 1.5388 1.1786
Fe 1.5388 3.3673 -1.1786
Fe 0.1598 1.6687 5.6872
O 1.9009 1.8079 -2.4391
O 1.3066 1.3996 2.0696
O 0.0000 0.0000 4.5086
O 0.0000 3.2075 0.0372
O 1.3996 -1.3066 6.9477
O 1.8079 4.5141 2.4391
O 0.0000 3.2075 4.4715
```

---

4.
Below is an optimized crystal structure of BaLuFe4O7, with properties calculated at the PBE+U level.

## Properties
**Space-group type**: No. 216
**ΔE to the lowest computed polymorph**: 0.113 eV per atom
**Formation energy**: -2.087 eV per atom

Cell and atoms, written as extended XYZ:
```
13
Lattice="0.0000 4.4945 4.4945 4.4945 0.0000 4.4945 4.4945 4.4945 0.0000" Properties=species:S:1:pos:R:3 pbc="T T T"
Ba 0.0000 0.0000 0.0000
Lu 6.7417 6.7417 6.7417
Fe 3.3346 3.3346 3.3346
Fe 5.6544 5.6544 3.3346
Fe 5.6544 3.3346 5.6544
Fe 3.3346 5.6544 5.6544
O 4.4945 4.4945 4.4945
O 6.7417 6.7417 4.5425
O 6.7417 4.5425 6.7417
O 8.9409 6.7417 6.7417
O 4.5425 6.7417 6.7417
O 6.7417 8.9409 6.7417
O 6.7417 6.7417 8.9409
```

---

5.
└──

Activity =
Next, quote all of the rows further above exactly.

Result =
1.
Below is an optimized crystal structure of Ba5SrLa2Fe4O15, with properties calculated at the PBE+U level.

## Properties
**Space-group type**: No. 9
**Formation energy**: -2.728 eV per atom

Cell and atoms, written as extended XYZ:
```
54
Lattice="5.9837 -10.3484 0.0000 5.9837 10.3484 0.0000 -0.0191 0.0000 7.1636" Properties=species:S:1:pos:R:3 pbc="T T T"
Ba 5.9837 10.3482 0.0000
Ba 5.9742 -10.3481 3.5818
Ba 3.0849 1.8237 4.7450
Ba 5.9761 6.7401 4.7596
Ba 5.9796 3.4814 7.0163
Ba 3.0945 -1.8237 1.1632
Ba 8.8445 1.8387 4.7681
Ba 5.9891 -3.4814 3.4344
Ba 5.9856 -6.7401 1.1778
Ba 8.8541 -1.8387 1.1863
Sr 3.3713 4.9488 2.3920
Sr 3.3617 -4.9488 5.9738
La 5.9734 0.4390 2.4114
La 8.5937 4.9604 2.3907
La 5.9639 -0.4390 5.9932
La 8.5841 -4.9604 5.9725
Fe 5.9626 6.6428 1.1784
Fe 3.2096 1.8607 1.1620
Fe 5.9511 3.4615 3.7588
Fe 3.2001 -1.8607 4.7438
Fe 8.7576 1.8366 1.1756
Fe 5.9606 -3.4615 0.1770
Fe 5.9531 -6.6428 4.7602
Fe 8.7481 -1.8366 4.7575
O 4.3949 6.2814 0.1553
O 2.7401 3.3965 0.1526
O 5.9625 8.3616 1.9041
O 1.7316 0.9978 1.8977
O 4.4971 4.2827 4.8422
O 1.7220 -0.9978 5.4795
O 6.0216 5.1792 2.4531
O 4.4936 2.5184 2.4519
O 7.5612 6.2766 0.2562
O 4.3540 0.6612 0.2138
O 2.7306 -3.3965 3.7344
O 4.3444 -0.6612 3.7957
O 7.4215 4.2739 4.7627
O 5.9652 1.7159 4.7913
O 4.4841 -2.5184 6.0337
O 7.4864 2.5497 2.4539
O 5.9748 -1.7159 1.2094
O 4.5066 -4.2827 1.2604
O 7.6026 0.6521 0.2170
O 9.2186 3.4028 0.2541
O 7.5930 -0.6521 3.7988
O 4.3853 -6.2814 3.7371
O 7.4769 -2.5497 6.0357
O 6.0120 -5.1792 6.0349
O 10.2364 0.9732 1.9049
O 7.4311 -4.2739 1.1808
O 5.9529 -8.3616 5.4859
O 10.2268 -0.9732 5.4867
O 7.5516 -6.2766 3.8380
O 9.2090 -3.4028 3.8359
```

---

2.
Below is an optimized crystal structure of BaLaTiFeO6, with properties calculated at the PBE+U level.

## Properties
**Formation energy**: -3.113 eV per atom

Cell and atoms, written as extended XYZ:
```
20
Lattice="3.9971 0.0000 3.9971 0.0000 3.9971 3.9971 -3.9971 -3.9971 7.9942" Properties=species:S:1:pos:R:3 pbc="T T T"
Ba 1.9985 1.9985 9.9927
Ba -1.9985 -1.9985 9.9927
O -1.9719 0.0000 11.9913
O 0.0000 -2.0252 7.9942
O 2.0252 0.0000 7.9942
O 0.0000 2.0252 7.9942
O 0.0000 0.0000 2.0252
O 0.0000 1.9719 3.9971
O 1.9719 0.0000 3.9971
O -2.0252 0.0000 7.9942
O 0.0000 -1.9719 11.9913
O 0.0000 0.0000 13.9632
O 0.0000 0.0000 10.0194
O 0.0000 0.0000 5.9690
Ti 0.0000 0.0000 3.9971
Ti 0.0000 0.0000 11.9913
Fe 0.0000 0.0000 0.0000
Fe 0.0000 0.0000 7.9942
La 1.9985 1.9985 5.9956
La -1.9985 -1.9985 5.9956
```

---

3.
Below is an optimized crystal structure of BaLuFe4O7, with properties calculated at the PBE+U level.

## Properties
**Space-group type**: No. 82
**ΔE to the lowest computed polymorph**: 0.000 eV per atom
**Formation energy**: -2.199 eV per atom

Cell and atoms, written as extended XYZ:
```
13
Lattice="-3.2075 3.2075 4.5086 3.2075 -3.2075 4.5086 3.2075 3.2075 -4.5086" Properties=species:S:1:pos:R:3 pbc="T T T"
Ba 0.0000 0.0000 0.0000
Lu 0.0000 3.2075 2.2543
Fe 1.6687 -0.1598 3.3300
Fe 3.0477 1.5388 1.1786
Fe 1.5388 3.3673 -1.1786
Fe 0.1598 1.6687 5.6872
O 1.9009 1.8079 -2.4391
O 1.3066 1.3996 2.0696
O 0.0000 0.0000 4.5086
O 0.0000 3.2075 0.0372
O 1.3996 -1.3066 6.9477
O 1.8079 4.5141 2.4391
O 0.0000 3.2075 4.4715
```

---

4.
Below is an optimized crystal structure of BaLuFe4O7, with properties calculated at the PBE+U level.

## Properties
**Space-group type**: No. 216
**ΔE to the lowest computed polymorph**: 0.113 eV per atom
**Formation energy**: -2.087 eV per atom

Cell and atoms, written as extended XYZ:
```
13
Lattice="0.0000 4.4945 4.4945 4.4945 0.0000 4.4945 4.4945 4.4945 0.0000" Properties=species:S:1:pos:R:3 pbc="T T T"
Ba 0.0000 0.0000 0.0000
Lu 6.7417 6.7417 6.7417
Fe 3.3346 3.3346 3.3346
Fe 5.6544 5.6544 3.3346
Fe 5.6544 3.3346 5.6544
Fe 3.3346 5.6544 5.6544
O 4.4945 4.4945 4.4945
O 6.7417 6.7417 4.5425
O 6.7417 4.5425 6.7417
O 8.9409 6.7417 6.7417
O 4.5425 6.7417 6.7417
O 6.7417 8.9409 6.7417
O 6.7417 6.7417 8.9409
```

---

5.